17:22 / 10/16/2009
President of Turkey Abdullah Gul says Turkey might not be willing
to join the EU club. "If the negotiation process is successfully
concluded the French and the Austrians will go to a referendum and
(Between two parts of the piece: calculated molecules)
(1)
DFT (ωB97M-V with the def2-TZVPD basis set) results for a molecular structure, C5H7F2I2N.

Geometry as XYZ:
```
17
Properties=species:S:1:pos:R:3:forces:R:3
C -0.435 0.079 -1.420 -2.1 -0.5 0.0
C -1.291 0.563 0.576 -0.7 1.3 -2.0
C -2.121 0.116 -1.548 2.6 -0.4 0.0
C -2.598 0.061 -0.110 0.4 -0.8 0.7
C 1.081 -0.356 0.544 -2.5 1.8 0.0
N -0.282 -0.272 -0.011 -0.1 0.3 -0.2
F -2.486 1.270 -2.057 -0.3 1.8 -1.2
F -2.602 -0.835 -2.396 0.4 0.1 0.5
I -3.200 -1.992 0.408 0.5 0.7 0.0
I -4.249 1.323 0.273 -0.2 0.2 0.2
H -0.257 -0.732 -2.099 1.0 -0.4 -0.3
H 0.094 1.035 -1.701 -0.9 -0.7 0.1
H -1.231 1.698 0.309 0.1 -1.5 0.0
H -1.349 0.589 1.592 0.0 -0.6 3.0
H 1.107 -0.710 1.540 -0.4 -0.5 1.1
H 1.591 -0.999 -0.054 1.6 -1.9 -1.7
H 1.571 0.587 0.542 0.6 1.2 -0.1
```
Forces are in eV/Å.

- E_LUMO: 0.001 hartree
- Maximum force: 3.08 eV/Å
- Molecular weight: 372.92 u
- Net charge: 0



(2)
DFT (ωB97M-V with the def2-TZVPD basis set) results for 2 unconnected molecules or ions with the total composition C5H7F3O4S2.

Geometry as XYZ:
```
21
Properties=species:S:1:pos:R:3:forces:R:3
C -2.978 -1.178 3.142 -0.7 -0.8 -0.5
C -2.385 -0.166 2.943 0.4 1.8 -0.8
S -1.619 1.276 2.416 0.9 -1.0 0.8
O -0.887 0.866 1.057 -1.1 0.6 0.3
C -1.313 1.770 -0.041 0.4 0.6 -1.3
C -0.247 1.761 -1.110 0.2 -0.2 -0.2
H -3.601 -2.044 3.065 0.2 -0.1 0.5
H -2.696 2.028 2.043 -0.1 -0.6 -0.2
H -2.259 1.438 -0.482 0.0 -0.2 0.6
H -1.417 2.792 0.351 0.0 -0.2 0.1
H 0.732 2.030 -0.709 -0.1 -0.1 0.0
H -0.493 2.475 -1.905 -0.2 0.1 0.3
H -0.178 0.789 -1.599 0.0 0.0 0.2
C 1.951 -1.090 -0.852 0.0 0.2 0.1
F 0.623 -1.365 -0.870 -0.1 -0.1 0.0
F 2.103 0.046 -1.567 0.1 -0.1 -0.1
F 2.245 -0.768 0.423 0.0 0.0 0.1
S 2.975 -2.487 -1.494 0.4 -0.6 -0.3
O 2.482 -2.642 -2.844 -0.2 0.2 0.1
O 2.643 -3.561 -0.587 -0.2 0.2 0.1
O 4.319 -1.973 -1.381 -0.1 0.2 0.1
```
Forces are in eV/Å.

- E_LUMO: -0.109 hartree
- Maximum force: 2.01 eV/Å
- Molecular weight: 252.23 u
- Net charge: 0



(3)
DFT (ωB97M-V with the def2-TZVPD basis set) results for C5H7FN2 in the gas phase.

Geometry as XYZ:
```
15
Properties=species:S:1:pos:R:3:forces:R:3
C -2.147 -0.506 0.317 -2.2 -0.7 -0.3
C -0.816 -0.989 -0.230 1.1 -1.1 2.2
C 0.316 -0.039 -0.069 4.3 -2.8 0.6
C 0.509 1.257 -0.237 -0.7 0.1 0.5
N 1.798 1.612 -0.053 -0.8 1.6 -0.2
N 2.659 0.666 0.141 2.2 -3.4 0.6
C 2.074 -0.489 0.226 -5.6 3.5 -1.6
F 2.596 -1.688 0.276 0.4 0.3 0.3
H -2.373 -0.566 1.480 0.9 0.0 -2.5
H -2.970 -1.173 -0.282 1.6 2.0 1.7
H -2.157 0.562 0.002 -0.9 -0.7 0.3
H -0.892 -1.273 -1.249 -0.3 -0.1 -1.1
H -0.505 -1.924 0.288 -0.2 0.4 -0.3
H -0.223 2.030 -0.354 -0.2 0.2 -0.3
H 2.132 2.520 -0.256 0.4 0.6 0.0
```
Forces are in eV/Å.

- E_LUMO: 0.033 hartree
- Maximum force: 6.75 eV/Å
- Molecular weight: 114.12 u
- Net charge: 0



(4)
DFT (ωB97M-V with the def2-TZVPD basis set) results for C5H7FN2 in the gas phase.

Geometry as XYZ:
```
15
Properties=species:S:1:pos:R:3:forces:R:3
H -3.180 -0.266 0.130 0.3 0.3 -0.1
N -2.383 0.363 -0.038 0.2 -1.0 0.2
C -1.286 -0.308 -0.030 -0.7 0.0 0.0
will say "yes" or "no" to Turkey. But maybe, on that day, Turkey will
say "Thanks, but NO, we have decided to follow a different way," he
said Oct. 9 in Paris at the conference "French-Turkish Partnership:
To be Stronger in Europe and the World", TRT informs.
The message was mostly addressed to France which has been skeptical
about Turkey's membership in EU. Gul underlines that Turkey becoming
a stronger country is also in the interest of France and EU.
"Indeed, you want strong partners. The tasks you can accomplish with a
weak partner are limited. This is the reason of our insistence on EU
membership, because the process is refreshing Turkey and carrying us
to EU standards. Turkey will do what's necessary by herself. We don't
have any requests from other countries. We just say 'Let us improve
ourselves.' Do not consider Turkey as a 71 million population. Turkey
has a larger hinterland. You can reach out to Middle East, Caucasus,
Central Asia and Russia easily via Turkey," he said.
French Economy, Labor and Industry Minister Christine Lagarde stated
Turkey has seen a rapid growth in recent years and became an important
(These molecular data were left in the article by mistake)
+++
Here is 2 unconnected molecules or ions with the total composition C50H72N6O3 from the Open Molecules 2025 dataset. Energies are from wB97M-V/def2-TZVPD.

Frontier orbital gap in eV: 4.479
Electronic energy in hartree: -2502.5967
LUMO in eV: -1.49
F_max in hartree/bohr: 0.081
Multiplicity: 1
HOMO level in eV: -6.0

Atoms and positions in Å:
C 4.86840 -3.95596 5.17631
O 3.74666 -3.10015 4.88522
C 2.65661 -3.76465 4.43085
N 1.66708 -2.77094 4.10367
N 0.61816 -3.24693 3.53274
C -0.51805 -2.48732 3.63374
C -1.60259 -2.99503 2.72371
C -0.61478 -1.36278 4.45678
C -1.77619 -0.47966 4.54964
O -2.80042 -0.66596 3.84423
N -1.75220 0.60962 5.39056
C -2.92221 1.44672 5.48896
C -0.70096 0.96209 6.32318
O 2.55251 -4.97084 4.34671
H 5.68467 -3.28080 5.43708
H 4.64585 -4.63016 6.00951
H 5.13317 -4.55770 4.29815
H -2.54813 -2.50795 2.98575
H -1.35020 -2.74498 1.67870
H -1.69846 -4.08636 2.79913
H 0.25086 -1.14173 5.09073
H -3.67457 1.12086 4.76616
H -3.34057 1.40878 6.50411
H -2.64122 2.48966 5.29411
H 0.27580 0.57249 6.02140
H -0.63414 2.05647 6.37360
H -0.92406 0.60621 7.34103
C -4.17639 -4.82161 -1.86182
C -3.77892 -3.82755 -2.96018
C -3.23028 -4.58443 -4.17438
C -2.83494 -2.75898 -2.42469
C -1.44537 -2.91639 -2.41791
C -0.60746 -1.97669 -1.82063
C 0.87483 -2.26658 -1.61250
C 1.36546 -3.49411 -2.37602
C 1.25729 -2.36625 -0.13557
C -1.15164 -0.73103 -1.36162
C -0.28271 0.36804 -0.93062
N 0.60984 1.04324 -1.76172
C 1.03470 0.73712 -3.11113
C 2.38705 0.40131 -3.32763
C 3.44891 0.38455 -2.22370
C 4.34462 1.61368 -2.33168
C 4.28709 -0.88924 -2.25459
C 2.79525 0.09672 -4.63085
C 1.87917 0.09215 -5.67683
C 0.55529 0.46476 -5.45825
C 0.12184 0.85353 -4.18555
C -1.26243 1.44988 -3.97538
C -2.12613 1.38557 -5.23482
C -1.22343 2.89331 -3.47584
N 1.24845 2.04361 -1.08777
N 0.74004 1.99268 0.16585
C 1.19942 2.86696 1.21786
C 2.16260 2.38079 2.13456
C 2.81297 0.99842 1.99879
C 2.08361 -0.04346 2.83491
C 4.29981 0.98576 2.37524
C 2.51793 3.19345 3.21348
C 1.97085 4.46410 3.35411
C 1.06567 4.94847 2.41213
C 0.66628 4.16322 1.33294
C -0.30029 4.78422 0.31078
C -1.62670 4.04370 0.13702
C 0.38452 5.05551 -1.03226
C -0.19710 0.95493 0.32735
C -0.83496 0.74392 1.52723
C -2.57952 -0.58739 -1.33441
C -3.29992 0.64955 -0.79724
C -4.16196 0.32932 0.42989
C -4.18033 1.32149 -1.85596
C -3.37087 -1.60993 -1.85226
H -4.63899 -4.30213 -1.01525
H -4.89221 -5.55606 -2.24802
H -3.29399 -5.36326 -1.49627
H -4.69027 -3.29932 -3.27266
H -2.87985 -3.88817 -4.94479
H -2.40502 -5.24601 -3.88328
H -4.02637 -5.20287 -4.60603
H -1.02049 -3.82263 -2.85739
H 1.40598 -1.39007 -2.02185
H 1.08345 -3.43366 -3.43385
H 2.45757 -3.57055 -2.32155
H 0.93498 -4.40463 -1.93795
H 0.95443 -1.46321 0.41135
H 0.76587 -3.22748 0.34692
H 2.34660 -2.48294 -0.02531
H 2.92592 0.43417 -1.26142
H 3.73774 2.52257 -2.26386
H 5.08347 1.61827 -1.52329
H 4.87190 1.60699 -3.29513
H 3.64908 -1.77975 -2.20178
H 4.87964 -0.94032 -3.17764
H 4.97302 -0.89787 -1.39890
H 3.84303 -0.14675 -4.81892
H 2.20396 -0.18932 -6.67850
+++
actor in the global economy.
State Minister and Deputy Prime Minister Ali Babacan said Europe can
become a "real global power" with Turkey being included in the club,
TRT informs.
17:22 / 10/16/2009
____________
The following is a quantum chemistry calculation of a molecular structure, C29H46BInN14 in a non-equilibrium geometry, from the Open Molecules 2025 dataset.

Structure (XYZ):
```
91
Properties=species:S:1:pos:R:3:forces:R:3:lowdin_charge:R:1
In 0.794 0.133 -0.443 0.5 0.0 -0.7 0.9181
C 2.735 4.095 2.027 0.8 1.1 0.5 -0.0591
C 2.085 4.183 0.788 0.1 0.2 -0.2 -0.1532
N 1.130 3.295 0.663 -0.4 -0.3 0.6 0.0824
N 1.144 2.632 1.847 -1.2 -0.7 0.4 -0.0178
C 2.063 3.135 2.704 0.1 -1.4 -0.2 -0.1100
B -0.004 1.742 2.313 0.2 -0.7 1.6 -0.6876
N -1.132 1.707 1.296 0.0 0.2 0.5 0.0236
C -2.296 2.339 1.449 -1.2 0.5 -1.5 0.0033
C -3.002 2.255 0.208 2.5 0.6 1.4 -0.0074
C -2.049 1.669 -0.648 -2.1 -0.7 -0.3 -0.1020
N -0.986 1.271 0.047 0.2 -0.1 -1.1 -0.0338
N 0.534 0.282 2.678 -0.7 2.4 -3.8 0.0490
C 0.753 -0.300 3.812 0.9 -1.0 0.3 -0.0555
C 1.373 -1.494 3.545 0.4 -0.9 -0.7 -0.0135
C 1.459 -1.561 2.159 1.1 -1.5 -0.3 -0.1392
N 0.999 -0.456 1.606 -1.0 0.2 1.9 -0.0150
N -0.632 2.218 3.624 1.4 1.9 0.6 -0.0623
C -0.468 3.495 4.153 -2.6 -1.1 1.0 -0.0385
C -1.426 3.610 5.185 0.7 -1.6 -1.5 -0.0247
C -2.057 2.320 5.202 0.6 1.0 0.1 -0.1542
N -1.546 1.513 4.311 -0.1 -0.4 -1.1 0.0513
H 3.551 4.691 2.416 -0.1 0.0 -0.2 0.1059
H 2.204 4.889 0.004 0.4 0.4 -0.5 0.1026
H 2.145 2.658 3.677 0.3 0.4 -0.2 0.1401
H -2.502 2.956 2.332 -0.1 -0.8 -0.4 0.1411
H -3.937 2.738 0.022 -0.2 0.0 -0.3 0.0978
H -2.266 1.376 -1.690 0.7 0.1 0.7 0.1285
H 0.537 0.173 4.721 -0.4 0.5 1.0 0.1228
H 1.800 -2.220 4.185 0.0 -0.4 0.7 0.0983
H 1.888 -2.373 1.533 -0.4 0.7 0.6 0.1229
H 0.179 4.215 3.702 0.2 0.2 0.0 0.1072
H -1.673 4.427 5.813 0.1 0.6 0.3 0.0787
H -2.869 1.928 5.772 -0.2 0.1 0.6 0.0969
C -4.125 -0.794 -3.185 -2.3 0.6 -1.0 -0.0595
N -4.528 -0.788 -1.808 -0.4 -0.3 -0.7 -0.1199
C -5.433 0.255 -1.421 1.4 0.3 0.9 -0.1316
C -5.497 -0.009 0.073 -2.2 0.3 0.6 -0.1510
N -4.276 -0.642 0.385 2.0 -0.4 -2.0 -0.1101
C -4.006 -1.016 1.708 0.4 0.4 1.1 -0.0482
C -3.705 -1.167 -0.760 -0.2 0.5 -0.6 -0.3528
N -2.632 -1.812 -1.018 -0.4 -0.2 -0.2 0.0997
C -1.705 -2.162 0.001 -0.5 0.8 1.0 -0.2592
C -0.481 -2.790 -0.608 -0.2 0.1 -0.2 -0.2235
N 0.262 -1.780 -1.363 1.0 0.3 -1.3 -0.0037
C 0.909 -2.229 -2.457 -0.4 -1.1 0.8 -0.3716
N 1.056 -1.572 -3.601 -0.7 0.9 0.7 -0.0707
C 0.166 -0.485 -3.900 0.4 1.6 -2.8 -0.0318
C 1.747 -2.351 -4.626 0.9 1.8 -0.1 -0.0917
C 2.130 -3.615 -3.903 -0.2 -0.6 0.9 -0.0848
N 1.420 -3.498 -2.585 0.2 0.6 0.6 -0.0598
C 2.023 -4.109 -1.380 2.1 -1.8 -2.5 -0.0226
H -3.155 -1.146 -3.262 1.8 -1.1 -0.2 0.0224
H -4.122 0.239 -3.660 -0.2 -0.9 0.7 0.1051
H -4.850 -1.437 -3.773 1.0 0.7 0.4 0.1123
H -6.364 0.276 -1.945 -0.6 -0.3 -0.2 0.1223
H -4.881 1.184 -1.633 -0.5 0.4 0.1 0.1059
H -6.335 -0.702 0.337 0.2 0.5 -0.3 0.1423
H -5.632 0.903 0.666 0.0 -0.1 -0.1 0.1214
H -4.277 -0.151 2.287 -0.6 0.1 0.8 0.0908
H -2.968 -1.123 1.988 0.4 -0.2 -0.5 0.0758
H -4.531 -1.911 1.983 -0.5 -0.4 0.5 0.0976
H -2.145 -2.782 0.828 0.5 0.1 -0.7 0.1352
H -1.387 -1.207 0.497 0.1 -0.7 0.1 0.0770
H -0.715 -3.577 -1.331 -0.3 -0.1 0.5 0.1333
____________
President of Turkey Abdullah Gul says Turkey might not be willing
to join the EU club. "If the negotiation process is successfully
concluded the French and the Austrians will go to a referendum and
will say "yes" or "no" to Turkey. But maybe, on that day, Turkey will
say "Thanks, but NO, we have decided to follow a different way," he
said Oct. 9 in Paris at the conference "French-Turkish Partnership:
To be Stronger in Europe and the World", TRT informs.
The message was mostly addressed to France which has been skeptical
about Turkey's membership in EU. Gul underlines that Turkey becoming
a stronger country is also in the interest of France and EU.
"Indeed, you want strong partners. The tasks you can accomplish with a
weak partner are limited. This is the reason of our insistence on EU
membership, because the process is refreshing Turkey and carrying us
to EU standards. Turkey will do what's necessary by herself. We don't
have any requests from other countries. We just say 'Let us improve
ourselves.' Do not consider Turkey as a 71 million population. Turkey
has a larger hinterland. You can reach out to Middle East, Caucasus,
Central Asia and Russia easily via Turkey," he said.
French Economy, Labor and Industry Minister Christine Lagarde stated
Turkey has seen a rapid growth in recent years and became an important
actor in the global economy.
State Minister and Deputy Prime Minister Ali Babacan said Europe can
become a "real global power" with Turkey being included in the club,
TRT informs.